### Source
-- begin --
[1]
A geometry-optimized Ta2CrRu structure. Source: the Materials Project, functional GGA-PBE.

Summary:
ΔE_f   -0.278 eV/atom
E   -43.76 eV/cell

```
data_Ta2CrRu
_chemical_formula_sum 'Ta2 Cr1 Ru1'
_symmetry_space_group_name_H-M 'P 1'
_symmetry_Int_Tables_number 1
_symmetry_space_group_name_Hall 'P 1'
_cell_length_a 4.437
_cell_length_b 4.437
_cell_length_c 4.437
_cell_angle_alpha 60.00
_cell_angle_beta 60.00
_cell_angle_gamma 60.00
loop_
_atom_site_label
_atom_site_type_symbol
_atom_site_fract_x
_atom_site_fract_y
_atom_site_fract_z
Ta1 Ta 0.250 0.250 0.250
Ta2 Ta 0.750 0.750 0.750
Cr1 Cr 0.000 0.000 0.000
Ru1 Ru 0.500 0.500 0.500
```

[2]
A geometry-optimized U2PS structure. Source: the Materials Project, functional GGA-PBE.

Summary:
ΔE_f   -1.316 eV/atom
E   -73.79 eV/cell

```
data_U2PS
_chemical_formula_sum 'U4 P2 S2'
_symmetry_space_group_name_H-M 'P 1'
_symmetry_Int_Tables_number 1
_symmetry_space_group_name_Hall 'P 1'
_cell_length_a 6.750
_cell_length_b 6.750
_cell_length_c 6.750
_cell_angle_alpha 131.83
_cell_angle_beta 131.83
_cell_angle_gamma 70.50
loop_
_atom_site_label
_atom_site_type_symbol
_atom_site_fract_x
_atom_site_fract_y
_atom_site_fract_z
U1 U 0.125 0.375 0.750
U2 U 0.375 0.125 0.250
U3 U 0.625 0.875 0.750
U4 U 0.875 0.625 0.250
P1 P 0.375 0.625 0.750
P2 P 0.625 0.375 0.250
S1 S 0.125 0.875 0.250
S2 S 0.875 0.125 0.750
```

[3]
A geometry-optimized ZrTiAs structure. Source: the Materials Project, functional GGA-PBE.

Summary:
ΔE_f   -0.984 eV/atom
E   -48.11 eV/cell

```
data_ZrTiAs
_chemical_formula_sum 'Zr2 Ti2 As2'
_symmetry_space_group_name_H-M 'P 1'
_symmetry_Int_Tables_number 1
_symmetry_space_group_name_Hall 'P 1'
_cell_length_a 7.942
_cell_length_b 7.942
_cell_length_c 7.942
_cell_angle_alpha 152.39
_cell_angle_beta 152.39
_cell_angle_gamma 39.45
loop_
_atom_site_label
_atom_site_type_symbol
_atom_site_fract_x
_atom_site_fract_y
_atom_site_fract_z
Zr1 Zr 0.180 0.180 0.000
Zr2 Zr 0.820 0.820 0.000
Ti1 Ti 0.000 0.500 0.500
Ti2 Ti 0.500 0.000 0.500
As1 As 0.371 0.371 0.000
As2 As 0.629 0.629 0.000
```

[4]
A geometry-optimized Na6Nb8Si11SO48 structure. Source: the Materials Project, functional GGA-PBE.

Summary:
ΔE_f   -2.976 eV/atom
Magnetization   0.00 μB per formula unit
E   -1731.97 eV/cell

```
data_Na6Nb8Si11SO48
_chemical_formula_sum 'Na18 Nb24 Si33 S3 O144'
_symmetry_space_group_name_H-M 'P 1'
_symmetry_Int_Tables_number 1
_symmetry_space_group_name_Hall 'P 1'
_cell_length_a 8.962
_cell_length_b 15.513
_cell_length_c 22.932
_cell_angle_alpha 90.03
_cell_angle_beta 90.11
_cell_angle_gamma 90.12
loop_
_atom_site_label
_atom_site_type_symbol
_atom_site_fract_x
_atom_site_fract_y
_atom_site_fract_z
Na1 Na 0.000 0.000 0.000
Na2 Na 0.001 0.003 0.501
Na3 Na 0.002 0.331 0.835
Na4 Na 0.005 0.671 0.668
Na5 Na 0.012 0.666 0.166
Na6 Na 0.141 0.503 0.752
Na7 Na 0.185 0.850 0.417
Na8 Na 0.322 0.985 0.917
Na9 Na 0.325 0.318 0.251
Na10 Na 0.501 0.498 0.999
Na11 Na 0.503 0.499 0.500
Na12 Na 0.505 0.165 0.167
Na13 Na 0.506 0.834 0.332
Na14 Na 0.507 0.167 0.669
Na15 Na 0.508 0.831 0.834
Na16 Na 0.688 0.652 0.084
Na17 Na 0.820 0.818 0.251
Na18 Na 0.999 0.334 0.335
Nb1 Nb 0.000 0.004 0.355
Nb2 Nb 0.001 0.996 0.649
Nb3 Nb 0.002 0.342 0.477
Nb4 Nb 0.002 0.671 0.813
Nb5 Nb 0.003 0.666 0.313
Nb6 Nb 0.007 0.342 0.976
Nb7 Nb 0.008 0.340 0.190
Nb8 Nb 0.009 0.669 0.021
Nb9 Nb 0.010 0.997 0.148
Nb10 Nb 0.015 0.667 0.520
Nb11 Nb 0.494 0.841 0.692
Nb12 Nb 0.496 0.168 0.019
Nb13 Nb 0.499 0.835 0.187
Nb14 Nb 0.500 0.496 0.648
Nb15 Nb 0.502 0.499 0.146
Nb16 Nb 0.506 0.502 0.856
Nb17 Nb 0.506 0.842 0.478
Nb18 Nb 0.507 0.166 0.314
Nb19 Nb 0.507 0.168 0.813
Nb20 Nb 0.507 0.500 0.356
Nb21 Nb 0.509 0.833 0.980
Nb22 Nb 0.514 0.168 0.520
Nb23 Nb 0.993 0.337 0.690
Nb24 Nb 0.999 0.002 0.854
Si1 Si 0.148 0.145 0.250
Si2 Si 0.149 0.479 0.585
Si3 Si 0.149 0.813 0.917
Si4 Si 0.151 0.527 0.916
Si5 Si 0.153 0.857 0.253
Si6 Si 0.213 0.170 0.916
Si7 Si 0.215 0.835 0.584
Si8 Si 0.219 0.505 0.251
Si9 Si 0.288 0.005 0.751
-- stop --
### Work order
What is needed: echo only the lines above with the word "data_Na6Nb8Si11SO48" in them.
### Completed
data_Na6Nb8Si11SO48